Turistii despre Sibiu

Zilnic ma trezesc dimineata si verific emailurile. Un set de emailuri il primesc de la Google cu ceea ce a gasit pe net continand cuvantul Sibiu. Mai ales in bloguri. Adesea aceste bloguri apartin turistilor straini care au trecut prin Sibiu. Astazi am dat de un post foarte interesant a unui cuplu englez ce strabate Europa intr-o „casuta mobila”. Iata ce impresii au ei despre Sibiu.
In primul rand au apreciat istoria si arhitectura orasului. Evident sunt niste simpli turisti si nu experti. Apreciaza frumosul si s-au documentat din timp despre Sibiu pentru a sti ce sa caute. Dar iata cateva fragmente din postul lor despre Sibiu citit de mine azi.

„We found the Council Tower and paid a small entrance fee to climb to the top. From here there is an excellent view over the city in all directions and also down to the three intersecting squares around the tower. These are a delight and reminded us of many Italian squares that we have visited – cafés and restaurants lined the edges, outside beautiful old buildings.”

Faptul ca pietele din centrul Sibiului le aminteste de pietele italiene am auzit-o de la foarte multi turisti. Este asta bine? Am pierdut cumva identitatea?

„We tried to find typical Romanian cuisine for lunch but failed because the city is dominated by Italian cuisine. In the end, we both had pizza although my Marinara was quite different from others that I have had in Italy and elsewhere. It had a large amount of garlic scattered in amongst the tuna and capers but I must say that it was delicious – I must try to reproduce it when we get home.”

**Someone pasted quantum chemistry results at this point:**
C6H7NO2S in the gas phase at a distorted geometry, computed with ωB97M-V/def2-TZVPD.

Its total charge is 0. The calculation puts the maximum force at 8.56 eV/Å. For the energy above the lowest of the compared OMol25 structures with the same formula, charge and spin, the calculation gives 125.2 kJ/mol. The HOMO-LUMO gap (alpha / beta) is 6.681 / 7.336 eV. As for the spin multiplicity: 3. The HOMO energy (alpha / beta) comes out at -6.12 / -9.40 eV.

Atoms and positions in Å:
C -2.38438 0.02881 -0.14353
C -1.37577 -0.16982 1.03345
C 3.20649 0.66384 -0.29489
C 2.23178 -0.29026 -0.38474
C -2.60134 1.22397 -0.65167
C 0.98600 -0.31569 0.27455
N 0.49857 -1.52501 0.26973
O 0.77623 -2.63948 -0.04400
O -0.83362 -1.48769 1.08727
S 0.06744 0.96736 0.99830
H -2.38101 -0.87454 -0.66408
H -1.93643 -0.05327 1.95099
H 3.90451 0.68453 -1.10011
H 3.02191 1.59537 0.21358
H 2.52097 -1.22679 -0.95237
H -2.29440 2.16275 -0.22048
H -3.40695 1.25592 -1.37200

Here are the Löwdin charges for atoms 1 to 8, given in e:
1. C -0.14
2. C -0.55
3. C 0.00
4. C -0.19
5. C 0.00
6. C -0.55
7. N -0.23
8. O 0.12

---

A molecular structure, C6H12ClO16S3Ti at a distorted geometry, computed with ωB97M-V/def2-TZVPD.

Its total charge is +1. The calculation puts the maximum force at 4.91 eV/Å. The HOMO-LUMO gap (alpha / beta) is 6.852 / 4.635 eV. As for the spin multiplicity: 5. The HOMO energy (alpha / beta) comes out at -9.38 / -13.89 eV.

Atoms and positions in Å:
Ti 13.82948 13.93677 -9.43187
Cl 11.58877 14.55005 -11.77136
O 12.62551 13.59119 -12.03763
O 11.54331 14.83235 -10.38415
O 11.90776 15.66721 -12.61854
O 10.27756 14.07105 -12.15619
C 16.98554 11.16770 -11.75419
C 15.88430 12.25456 -11.97310
O 15.53256 12.69564 -10.67811
S 15.85187 11.60532 -9.53482
O 14.63995 10.84567 -9.16796
O 16.67419 12.34142 -8.50969
O 16.72572 10.63869 -10.47794
H 18.03088 11.47523 -11.78228
H 16.88964 10.39386 -12.51581
H 15.00476 11.84744 -12.47185
H 16.52575 13.05223 -12.34775
C 13.07994 15.29856 -4.28264
C 14.59467 15.07501 -4.48170
O 14.83196 15.41412 -5.82749
S 13.57158 16.21421 -6.53137
O 13.32789 15.73287 -7.91005
O 13.71117 17.63847 -6.28478
O 12.56915 15.39242 -5.52954
H 12.92321 16.26548 -3.80452
H 12.64986 14.48811 -3.69417
H 14.81653 14.00868 -4.43892
H 15.24039 15.55630 -3.74719
C 10.36968 12.09209 -8.92074
C 9.94145 13.09497 -7.97542
O 10.95346 13.31071 -6.95099
S 12.07594 12.10840 -7.00977
O 11.51991 10.94003 -6.30598
O 13.39391 12.66329 -6.76832
O 11.70900 11.89632 -8.62538
H 10.30644 12.36277 -9.97471
H 9.83498 11.14406 -8.86210
H 9.03585 12.81763 -7.43590
H 9.71661 14.08838 -8.36363

Here are the Löwdin charges for atoms 1 to 8, given in e:
1. Ti 0.77
2. Cl 0.70
3. O -0.20
4. O -0.29
5. O -0.04
6. O -0.10
7. C -0.14
8. C -0.12

---

8 unconnected molecules or ions with the total composition C31H63NO20S2 at a distorted geometry, computed with ωB97M-V/def2-TZVPD.

Tineti minte postul meu despre Identitatea culinara a Sibiului? Ei, se pare ca am avut dreptate. Nu sunt primii turisti care vor sa manance romaneste si nu prea au unde. Si nu mai indicati Crama Sibiana care serveste Gordon Bleu, poate Crama Sibiul Vechi desi si acolo gasesti si produse importate.

„Sibiu is a very cosmopolitan city with large German and Hungarian speaking communities.”

-- Data records, kept here for reference --
+++
ORCA calculation (the ωB97M-V functional and the def2-TZVPD basis) on a structure of composition C3H2CuO4 in a non-equilibrium geometry.

DFT total energy: -2056.09474 Ha
M: 165.6 g mol⁻¹
total charge: +2
orbital gap (alpha / beta): 7.44 / 4.31 eV
multiplicity: 2
⟨S²⟩: 0.75
energy above the lowest of the compared OMol25 structures with the same formula, charge and spin: 151.44 kJ/mol
largest force on an atom: 9.2 eV Å⁻¹
HOMO level (alpha / beta): -19.6 / -19.6 eV

Element x y z (Å)
1 O -0.1297 3.8887 -1.4915
2 C -0.1760 2.7547 -1.6465
3 Cu -0.0356 -1.5068 0.2898
4 C 1.3167 -1.1139 -0.8981
5 C -1.4864 -1.0465 -0.7599
6 O 2.2748 -1.3313 -1.5162
7 O -2.4553 -1.2658 -1.3708
8 O -0.0710 -0.1588 2.2015
9 H 0.5952 0.5660 2.2562
10 H 0.1674 -0.7863 2.9354

Cartesian forces, eV/Å:
O -0.1423 -3.1663 -0.5167
C 0.1460 3.0391 0.5757
Cu -0.0783 1.1745 3.4927
C 7.1714 -1.6858 -4.5794
C -7.6451 -1.7431 -4.7258
O -5.1739 1.6670 3.1189
O 5.5768 1.8064 3.4263
O 1.0497 -1.7683 -0.5172
H -0.5099 -0.3214 0.0257
H -0.3945 0.9977 -0.3000

----------

19
Properties=species:S:1:pos:R:3 method="wB97M-V/def2-TZVPD" smiles="[H]/N=C/C(C[C@@H](C)N)=N/[H]" e_lumo_ev=0.87 total_energy_ha=-361.36110 fmax_ev_per_a=0.78 gap_ev=9.93 relative_energy_kj_mol=74.3
H 3.948 -1.291 -0.039
N 2.965 -1.037 0.024
C 2.717 0.193 -0.072
C 1.330 0.691 -0.002
C 0.265 -0.328 0.312
C -1.090 -0.011 -0.330
C -2.044 -1.200 -0.166
N -1.615 1.227 0.235
N 1.171 1.926 -0.207
H 0.196 2.228 -0.151
H 3.457 0.987 -0.221
H 0.624 -1.304 -0.014
H 0.151 -0.365 1.399
H -0.936 0.175 -1.401
H -2.200 -1.417 0.890
H -3.009 -0.977 -0.620
H -1.637 -2.086 -0.644
H -2.486 1.483 -0.218
H -1.807 1.104 1.225


26
Properties=species:S:1:pos:R:3 method="wB97M-V/def2-TZVPD" smiles="CN(C)C(=O)CN([PH2]=S)[C@@](S)(Br)C(=O)[O-]" e_lumo_ev=2.64 charge=-1 total_energy_ha=-4282.05451 fmax_ev_per_a=8.35 gap_ev=7.41
C 3.044 -0.568 -0.619
N 1.747 0.103 -0.119
C 2.133 0.682 1.222
C 0.761 -1.039 -0.017
O 1.029 -1.978 0.928
C -0.518 -1.183 -1.032
N -1.812 -0.594 -0.558
P -2.345 -1.177 1.032
S -4.050 -2.169 0.802
C -1.953 0.885 -0.754
S -1.836 1.454 -2.566
Br -3.878 1.325 -0.229
C -1.025 1.834 0.207
O -1.196 1.986 1.549
O 0.072 2.661 -0.374
H 2.843 -1.500 -1.302
H 3.783 0.223 -1.107
H 3.598 -0.938 0.367
H 3.093 1.363 1.023
H 1.339 1.389 1.710
H 2.459 -0.097 2.031
H -0.705 -2.357 -1.149
H -0.149 -0.829 -2.092
H -2.644 -0.137 2.000
H -1.459 -2.105 1.687
H -2.331 2.768 -2.640


8
Properties=species:S:1:pos:R:3 method="wB97M-V/def2-TZVPD" e_lumo_ev="-0.64 / -0.70" total_energy_ha=-974.15818 fmax_ev_per_a=4.70 gap_ev="6.86 / 6.79" relative_energy_kj_mol=749.5
C 1.375 -0.084 -0.018
C 2.023 -1.204 2.078
C -1.054 0.419 -1.126
S -0.252 -0.408 0.302
Cl 1.254 -0.470 3.209
H -0.389 1.309 -1.556
H -2.014 0.836 -1.084
H -0.943 -0.398 -1.803


44
Properties=species:S:1:pos:R:3 method="wB97M-V/def2-TZVPD" multiplicity=5 s_squared=6.013 e_lumo_ev="-4.11 / -4.29" charge=+1 total_energy_ha=-2666.69226 fmax_ev_per_a=0.62 gap_ev="7.27 / 7.10"
+++
-- So much for the data records --

Afirmatia asta m-a dat gata. Acum ori ghidul ce il foloseau e „scris” prost intentionat sau impresia asta a fost vazand centrul Sibiului si bisericile vizitate.

„After lunch we investigated the lower town and it was clear that, although much of the centre has restored and work is continuing, one only needs to move a few hundred metres away to find the more authentic city. This still has many historic buildings but they are in a poor state of repair and are inhabited by much poorer people. I suspect that. Given a few years, this area will also be ‘prettified’.”

Mi-a placut cuvantul folosit pentru a defini viitorul orasului de jos si, indirect, orasul de sus „pretified”. Exprima asa de multe din ceea ce sustin si eu!

In concluzie nu e de mirare ca primarului Johannis nu ii place de englezi asa cum a declarat in media locala ieri pentru ca au un ochi mai atent si mai critic. Voi ce credeti?